-- Entries --
........
(1)
# Cs4Tc6Se13 (GGA-PBE, optimized geometry)
# electronic total energy	-5.57	eV per atom
data_Cs4Tc6Se13
_chemical_formula_sum 'Cs16 Tc24 Se52'
_cell_length_a 10.445
_cell_length_b 17.944
_cell_length_c 14.366
_cell_angle_alpha 90.00
_cell_angle_beta 101.04
_cell_angle_gamma 90.00
_space_group_name_H-M_alt 'C 1 2/c 1'
_space_group_IT_number 15
loop_
_space_group_symop_operation_xyz
'x,y,z'
'-x,-y,-z'
'-x,y,-z+1/2'
'x,-y,z+1/2'
'x+1/2,y+1/2,z'
'-x+1/2,-y+1/2,-z'
'-x+1/2,y+1/2,-z+1/2'
'x+1/2,-y+1/2,z+1/2'
loop_
_atom_site_label
_atom_site_type_symbol
_atom_site_fract_x
_atom_site_fract_y
_atom_site_fract_z
_atom_site_occupancy
Cs1 Cs 0.201 0.021 0.281 1
Cs2 Cs 0.215 0.379 0.417 1
Tc1 Tc 0.135 0.217 0.075 1
Tc2 Tc 0.144 0.206 0.893 1
Tc3 Tc 0.154 0.339 0.977 1
Se1 Se 0.000 0.137 0.750 1
Se2 Se 0.011 0.462 0.931 1
Se3 Se 0.047 0.184 0.334 1
Se4 Se 0.050 0.261 0.553 1
Se5 Se 0.130 0.091 0.994 1
Se6 Se 0.149 0.344 0.152 1
Se7 Se 0.166 0.323 0.804 1

=====

(2)
# Cs2TeWSe2 (GGA-PBE, optimized geometry)
# electronic total energy	-4.83	eV per atom
data_Cs2TeWSe2
_chemical_formula_sum 'Cs8 Te4 W4 Se8'
_cell_length_a 14.944
_cell_length_b 7.658
_cell_length_c 10.796
_cell_angle_alpha 90.00
_cell_angle_beta 125.60
_cell_angle_gamma 90.00
_space_group_name_H-M_alt 'C 1 2/m 1'
_space_group_IT_number 12
loop_
_space_group_symop_operation_xyz
'x,y,z'
'-x,-y,-z'
'-x,y,-z'
'x,-y,z'
'x+1/2,y+1/2,z'
'-x+1/2,-y+1/2,-z'
'-x+1/2,y+1/2,-z'
'x+1/2,-y+1/2,z'
loop_
_atom_site_label
_atom_site_type_symbol
_atom_site_fract_x
_atom_site_fract_y
_atom_site_fract_z
_atom_site_occupancy
Cs1 Cs 0.078 0.000 0.363 1
Cs2 Cs 0.209 0.500 0.825 1
Te1 Te 0.106 0.500 0.397 1
W1 W 0.102 0.500 0.152 1
Se1 Se 0.000 0.245 0.000 1
Se2 Se 0.215 0.000 0.780 1

=====

(3)
# CsYZnTe2Se (GGA-PBE, optimized geometry)
# electronic total energy	-4.27	eV per atom
data_CsYZnTe2Se
_chemical_formula_sum 'Cs4 Y4 Zn4 Te8 Se4'
_cell_length_a 4.347
_cell_length_b 16.811
_cell_length_c 11.286
_cell_angle_alpha 90.00
_cell_angle_beta 90.00
_cell_angle_gamma 90.00
_space_group_name_H-M_alt 'C m c m'
_space_group_IT_number 63
_space_group_name_Hall '-C 2c 2'
loop_
_atom_site_label
_atom_site_type_symbol
_atom_site_fract_x
_atom_site_fract_y
_atom_site_fract_z
_atom_site_occupancy
Cs1 Cs 0.000 0.234 0.250 1
Y1 Y 0.000 0.500 0.000 1
Zn1 Zn 0.000 0.038 0.750 1
Te1 Te 0.000 0.125 0.554 1
Se1 Se 0.000 0.452 0.750 1

=====

(4)
# CsTh2Se6 (GGA-PBE, optimized geometry)
# electronic total energy	-5.56	eV per atom
data_CsTh2Se6
_chemical_formula_sum 'Cs2 Th4 Se12'
_cell_length_a 4.266
_cell_length_b 5.606
_cell_length_c 23.841
_cell_angle_alpha 90.00
_cell_angle_beta 90.00
_cell_angle_gamma 90.00
_space_group_name_H-M_alt 'I m m m'
_space_group_IT_number 71
_space_group_name_Hall '-I 2 2'
loop_
_atom_site_label
_atom_site_type_symbol
_atom_site_fract_x
_atom_site_fract_y
_atom_site_fract_z
_atom_site_occupancy
Cs1 Cs 0.000 0.000 0.000 1
Th1 Th 0.000 0.500 0.183 1
Se1 Se 0.000 0.000 0.229 1
Se2 Se 0.000 0.245 0.386 1

=====

The highest electronic total energy belongs to which entry?
CsYZnTe2Se

=====

Look up the electronic total energy of the third one.
-4.27 eV per atom
........

-- Request --
Please copy every line earlier on that contains the word "data_Cs4Tc6Se13".

-- Response --
data_Cs4Tc6Se13